Agile Construction (part 2 of 8): Taking The First Steps

Carson Miller
Published in
6 min readSep 12, 2019

In our last post, we talked about Agile, a style of project management born out of the tech industry’s frustration with the outdated, linear, and rigid Waterfall process they inherited from traditional manufacturing. Much like the construction industry today, technology teams were victims to unexpected delays and expenses, despite their efforts to plan ahead.

By adopting Agile, they found they could decrease spending, increase efficiency, and create positive, collaborative environments with their clients.

We thought so, too. Which is why we’re using our next two posts to give you concrete ways to apply Agile principles to your business.

Principle 1: Deliver customer value early and often

A one-year project taking three years, going over budget by 70%, costing $100,000 in overages — these are real numbers from Jay Timmons and Rick Olson, who remodeled their Vancouver, BC, home in 2016.

And our research shows that this happens in nearly half of all construction projects.

Have you ever questioned whether you really needed that new timing belt the mechanic is selling you? But you have to take his advice — not out of trust, but out of fear of ending up stranded on the side of the highway.

It’s similar in a construction project: builders offer clients dozens of different products and services in a language unfamiliar to them. This information imbalance makes the client feel as though they’re at your mercy, which increases fear, decreases trust, and jeopardizes your entire relationship with them.

So, how do you resolve this trust issue from the start of the project?

(Records of molecules, as found in the file)
........
i | Below is a gas-phase ion, C7H12NO2 (charge +1), with properties calculated with ωB97M-V/def2-TZVPD.

Geometry (Å):
C  3.577  0.547  0.426
C  3.422  -0.780  -0.333
O  2.074  -1.269  0.125
C  1.078  -0.574  -0.065
N  -0.001  -0.156  -0.101
C  -1.235  0.352  -0.537
C  -2.202  1.161  0.407
C  -3.286  0.169  0.784
O  -2.753  -1.146  0.500
C  -2.081  -0.965  -0.672
H  3.083  0.612  1.454
H  4.670  0.704  0.627
H  3.065  1.469  -0.087
H  4.246  -1.371  0.046
H  3.539  -0.523  -1.320
H  -1.147  0.761  -1.561
H  -1.576  1.608  1.105
H  -2.460  1.939  -0.363
H  -4.268  0.184  0.296
H  -3.465  0.061  1.798
H  -1.480  -1.757  -0.916
H  -2.799  -1.027  -1.612

Output
- SMILES = CCOC#[N+][C@@H]1CCOC1
- charge = +1



ii | Below is a gas-phase ion, C7H12NO2 (charge +1), with properties calculated with ωB97M-V/def2-TZVPD.

Geometry (Å):
C  0.136  1.671  0.178
C  -1.246  1.518  -0.075
C  1.346  0.913  0.212
C  -2.013  0.322  -0.171
C  1.918  0.131  -0.952
C  2.525  -1.104  1.244
C  -3.928  -0.885  -0.540
N  1.477  -0.606  0.291
O  3.259  0.147  -0.980
O  -3.280  0.332  -0.501
H  0.502  2.760  0.090
H  -1.792  2.363  -0.455
H  2.213  1.287  0.794
H  -1.666  -0.629  0.178
H  3.168  -1.694  0.494
H  3.086  -0.330  1.544
H  2.300  -1.670  2.119
H  -4.825  -0.897  0.073
H  -3.308  -1.618  -0.173
H  -4.079  -1.088  -1.580
H  0.602  -1.238  0.108
H  3.606  0.317  -1.902

Output
- charge = +1



Stability check: which of them is most stable? i.



i | Below is a single C3H4N2OS molecule, with properties calculated with ωB97M-V/def2-TZVPD.

Geometry (Å):
H  -0.695  -2.498  1.264
N  0.044  -1.717  1.125
C  -0.611  -0.870  0.337
N  0.088  0.240  -0.115
C  1.128  0.807  0.619
O  1.632  1.846  0.334
C  -0.302  0.817  -1.288
S  -1.621  0.512  -2.136
H  -1.606  -1.018  -0.081
H  1.555  0.183  1.440
H  0.389  1.698  -1.498

Output
- SMILES = [H]/N=C/N(C=O)C=S
- charge = 0



ii | Below is 2 unconnected molecules or ions with the total composition C3H4N2OS, with properties calculated with ωB97M-V/def2-TZVPD.

Geometry (Å):
C  -0.563  0.888  0.531
C  -1.880  0.420  0.208
C  0.143  0.135  -0.350
N  -0.456  -0.837  -0.964
N  -1.714  -0.593  -0.717
O  3.258  -0.244  0.821
S  2.957  0.198  -0.704
H  -0.171  1.733  0.935
H  -2.829  0.770  0.445
H  -2.287  -1.308  -1.120
H  3.541  -1.163  0.916

Output
- charge = 0



iii | Below is a molecular structure, C3H4N2OS, with properties calculated with ωB97M-V/def2-TZVPD.

Geometry (Å):
C  -0.723  -1.162  -0.297
C  0.689  0.980  0.011
C  0.913  -0.807  1.433
H  -2.330  0.376  -0.763
H  -0.398  -2.339  -0.151
H  1.412  1.632  0.554
H  1.473  -0.064  2.101
N  -1.665  -0.732  -0.913
N  0.236  -0.234  0.370
O  0.845  -2.026  1.633
S  -0.137  1.831  -1.118

Output
- charge = 0



Stability check: which of them is most stable? i.
........

In a market where nearly half of home renovations go over budget, one way to build trust is to review the project budget in detail with your client upfront. This can be as simple as sharing a live spreadsheet with all up-to-date budget and expense details. Then pair that with a weekly, bi-weekly, and monthly budget-review meetings, during which you can guide your client through trade-off decisions that help keep the overall budget on track.

Further, invest the time to proactively educate clients on dependencies in the build process.

Consider that most homeowners have very little experience in a construction project — and that any experience they had previously might not have been a good one. Start with a simple assumption: things that are obvious to you are not to your client. A common example: cabinet layouts seem merely cosmetic to most clients, but you know that they need to be finalized early on to ensure rough plumbing and electrical can happen on schedule. Taking the time upfront to educate your clients will make them feel more in control of their project, increase their trust in the decisions you make, and ultimately help you keep the project on schedule.

There are dozens of ways to apply this lesson throughout your process to deliver more client value. In doing so, you become more than just a contractor: you become a trusted source of insight, providing your client with the power to make their own choices and plan ahead.

Principle 2: Welcome changing requirements, even late in development.

Storage. Traffic flow. Number of children. Number of cooks. Number of friends. Baking. BBQing. Drinking. Eating.

For your average person, there are few things in life that produce as much anxiety as building or remodeling a home. There are more than 100 decisions that go into a kitchen remodel — cabinets, countertops, backsplash, plumbing, lighting…the list goes on. For each of these decisions, there are hundreds, if not thousands, of dollars at stake.

It makes sense, then, that clients would be prone to changing their minds and delaying decision-making.

Sometimes, a client changing their mind isn’t OK. You can’t turn a concrete slab into a basement — at least not very easily!

But, other times, it’s perfectly reasonable.

So instead of pitting ourselves against change, what if we anticipated, and managed it, for the good of everyone involved in the process?

In Agile, we anticipate the client’s upcoming decisions and help them consider each option at the right time. For example, create a selection/decision schedule at the beginning of the project and spend time reviewing it with your client. Make sure they understand the cost and timing of the decisions they’re responsible for, and explain which decisions impact others. Include all of the decisions and selections the client will need to make, along with the due dates for each, to keep the project on track. Then, agree on a process to manage decisions throughout the project. Handing them a list at the beginning of the project and then never talking about it again won’t be effective because, as we all know, things change. Instead, review the project schedule regularly with your client, keep them apprised of progress, and discuss upcoming milestones so they never feel caught off-guard.

Principle 3: Developers must work continuously with stakeholders throughout the project.

In the context of software development, “business people” are the key stakeholders and usually the end customer of the software. Prior to Agile, after spending months gathering and agreeing to a set of requirements, software development teams would go off and build for months, rarely speaking to the customer. Then, voilà — they’d hand over the software and cross their fingers. All of the requirements had been agreed to, so why did they need to talk to the stakeholders along the way?

Anyone who has ever had to make a costly change after production — like Toyota’s Satoshi Ishi — knows this is a flawed methodology and a doomed approach to project management. In software development — or any industry for that matter — lack of communication is always a root cause of failure. Keeping the lines of communication open throughout the project is the key to keeping everyone aligned.

So, how often do you provide project updates to your clients and teams? If you’re like the majority of contractors out there, probably not enough. As technology improves process and transparency in all aspects of their lives, what your clients expect from a construction project are changing and so too must the communication cadence during a project.

Consumer technology like Instagram and Uber have set a high bar for instant gratification. In our research, a majority of clients say they expect to hear from their contractors at least daily, with more than 80% expecting to receive project updates multiple times per week. Fair? Probably not, especially in a business as complicated as construction. But if this is the new reality, what is a builder to do?

To start, create a set of simple communication protocols to always stay one step ahead of your clients, anticipate their next questions, and attend to their desire for progress updates.

Sound complicated? It doesn’t need to be. Here is a simple exercise to get started:

  1. Map out the high-level sequence of activities in your typical projects. Do this for each type of project you take on. For example, breaking ground, framing, dry-in, etc.
  2. Next, put yourselves in the customer’s shoes for each phase of the project. Truly try to get in their mindset. For example, you can almost guarantee that your client will feel like the job is “almost done” once the project is dried in, when in reality there are months to go.
  3. Keep track of the frantic texts and panicked phone calls you get from nearly every customer along that journey.
  4. Then, schedule a series of updates you can provide to your client. Common touch points include: a weekly preview to set expectations every Sunday evening, simple daily recaps with a few photos from the jobsite before your commute home, and a more holistic update each Friday afternoon to celebrate the visible and invisible progress made on the project.

You can decide the format and frequency of these communications that works best for your business. But once you do, JUST DO IT. Set calendar reminders with alerts so you don’t forget. Delegate communication to your team members who have a knack for client management. Create templates that you can quickly and easily update any time with new information. Whatever it takes. The key is to be consistent and to use a format that you’ll stick with.

Continue here to read part 2 of our core Agile principles.

Originally published at

